The following is a PBE-GGA calculation of an optimized crystal structure of Pr3Nd2Dy8, from Alexandria via LeMat-Bulk.

Results
energy	-4.65	eV per atom
energy of formation from the pure elements	0.25	eV/f.u.
excess energy over the best structure of this formula in the dataset	0.0	meV per atom

a = 6.239 Å, b = 6.251 Å, c = 11.380 Å
α = 89.88°, β = 79.39°, γ = 80.37°
Fractional coordinates of all 13 atoms:
Pr 0.000 0.000 0.000
Pr 0.231 0.462 0.079
Pr 0.769 0.538 0.921
Nd 0.384 0.769 0.462
Nd 0.616 0.231 0.538
Dy 0.076 0.153 0.691
Dy 0.153 0.307 0.385
Dy 0.308 0.614 0.767
Dy 0.463 0.925 0.156
Dy 0.537 0.075 0.844
Dy 0.692 0.386 0.233
Dy 0.847 0.693 0.615
Dy 0.924 0.847 0.309

The following is a PBE-GGA calculation of an optimized crystal structure of MnFeC3, from Alexandria via LeMat-Bulk.

Results
energy	-6.86	eV per atom
energy of formation from the pure elements	10.99	eV/f.u.
excess energy over the best structure of this formula in the dataset	316.0	meV per atom

a = 3.667 Å, b = 3.667 Å, c = 3.667 Å
α = 90.00°, β = 90.00°, γ = 90.00°
Fractional coordinates of all 5 atoms:
Mn 0.000 0.000 0.000
Fe 0.500 0.500 0.500
C 0.000 0.500 0.500
C 0.500 0.000 0.500
C 0.500 0.500 0.000

The following is a PBE-GGA calculation of an optimized crystal structure of NaB2Br8, from Alexandria via LeMat-Bulk.

Results
energy	-3.11	eV per atom
ΔE_f (raw)	-0.563	eV/atom

a = 8.056 Å, b = 8.056 Å, c = 6.300 Å
α = 93.30°, β = 93.30°, γ = 89.79°
Fractional coordinates of all 11 atoms:
Na 0.000 0.000 0.000
B 0.216 0.216 0.592
B 0.784 0.784 0.408
Br 0.018 0.724 0.319
Br 0.230 0.230 0.276
Br 0.276 0.982 0.681
Br 0.376 0.376 0.749
Br 0.624 0.624 0.251
Br 0.724 0.018 0.319
Br 0.770 0.770 0.724
Br 0.982 0.276 0.681

The following is a PBE-GGA calculation of an optimized crystal structure of ZrSc2Tl, from Alexandria via LeMat-Bulk.

Results
energy	-5.94	eV per atom
energy of formation from the pure elements	-0.17	eV/f.u.
excess energy over the best structure of this formula in the dataset	125.3	meV per atom

a = 3.517 Å, b = 4.993 Å, c = 5.275 Å
α = 90.00°, β = 90.00°, γ = 90.00°
Fractional coordinates of all 4 atoms:
Zr 0.000 0.000 0.000
Sc 0.000 0.500 0.500
Sc 0.500 0.500 0.000
Tl 0.500 0.000 0.500

The following is a PBE-GGA calculation of an optimized crystal structure of Mg2InNi, from Alexandria via LeMat-Bulk.

Results
energy	-3.00	eV per atom
energy of formation from the pure elements	-0.29	eV/f.u.

a = 4.636 Å, b = 4.636 Å, c = 4.636 Å
α = 60.00°, β = 60.00°, γ = 60.00°
Fractional coordinates of all 4 atoms:
Mg 0.000 0.000 0.000
Mg 0.250 0.250 0.250
In 0.750 0.750 0.750
Ni 0.500 0.500 0.500

The following is a PBE-GGA calculation of an optimized crystal structure of La3CoH, from Alexandria via LeMat-Bulk.

Results
energy	-4.87	eV per atom
excess energy over the best structure of this formula in the dataset	312.2	meV per atom

a = 4.912 Å, b = 4.912 Å, c = 4.912 Å
α = 90.00°, β = 90.00°, γ = 90.00°
Fractional coordinates of all 5 atoms:
La 0.000 0.000 0.500
La 0.000 0.500 0.000
La 0.500 0.000 0.000
Co 0.500 0.500 0.500
H 0.000 0.000 0.000

The following is a PBE-GGA calculation of an optimized crystal structure of Tl2CdCl, from Alexandria via LeMat-Bulk.

Results
energy	-2.18	eV per atom
ΔE_f (raw)	-0.308	eV/atom
excess energy over the best structure of this formula in the dataset	77.8	meV per atom

a = 10.136 Å, b = 10.136 Å, c = 10.136 Å
α = 21.19°, β = 21.19°, γ = 21.19°
Fractional coordinates of all 4 atoms:
Tl 0.000 0.000 0.000
Tl 0.182 0.182 0.182
Cd 0.424 0.424 0.424
Cl 0.591 0.591 0.591

The following is a PBE-GGA calculation of an optimized crystal structure of Al2PbBr, from Alexandria via LeMat-Bulk.

Results
energy	-3.22	eV per atom
ΔE_f (raw)	-0.007	eV/atom
excess energy over the best structure of this formula in the dataset	75.7	meV per atom

a = 3.477 Å, b = 3.477 Å, c = 9.940 Å
α = 90.00°, β = 90.00°, γ = 120.09°
Fractional coordinates of all 4 atoms:
Al 0.000 0.000 0.000
Al 0.500 0.500 0.207
Pb 0.000 0.000 0.450
Br 0.500 0.500 0.809
Now search the notes above for the word "calculation" and transcribe each line that has it.
The following is a PBE-GGA calculation of an optimized crystal structure of Pr3Nd2Dy8, from Alexandria via LeMat-Bulk.
The following is a PBE-GGA calculation of an optimized crystal structure of MnFeC3, from Alexandria via LeMat-Bulk.
The following is a PBE-GGA calculation of an optimized crystal structure of NaB2Br8, from Alexandria via LeMat-Bulk.
The following is a PBE-GGA calculation of an optimized crystal structure of ZrSc2Tl, from Alexandria via LeMat-Bulk.
The following is a PBE-GGA calculation of an optimized crystal structure of Mg2InNi, from Alexandria via LeMat-Bulk.
The following is a PBE-GGA calculation of an optimized crystal structure of La3CoH, from Alexandria via LeMat-Bulk.
The following is a PBE-GGA calculation of an optimized crystal structure of Tl2CdCl, from Alexandria via LeMat-Bulk.
The following is a PBE-GGA calculation of an optimized crystal structure of Al2PbBr, from Alexandria via LeMat-Bulk.